Excerpt:
~~~
Entry 1:
Starting from the PBE geometry in Alexandria, the powder XRD pattern of RbMn2CuS4 was calculated for Cu Ka.
Kinematic intensities with the Lorentz-polarization factor, no thermal factor.

Most intense lines, 15 to 90 degrees two-theta, in order of falling intensity:
27.07 deg, intensity 100; 22.09 deg, intensity 98; 42.65 deg, intensity 91; 29.06 deg, intensity 90; 28.96 deg, intensity 75; 39.81 deg, intensity 70; 37.82 deg, intensity 51; 53.93 deg, intensity 46; 18.65 deg, intensity 42; 30.06 deg, intensity 39

Crystal structure
Lattice parameters (Å, degrees): 6.8356 6.8356 6.8356 132.75 107.86 90.83
Fractional positions:
Rb 0.0000 0.0000 0.0000
Mn 0.3905 0.8905 0.5000
Mn 0.6095 0.1095 0.5000
Cu 0.5000 0.5000 0.0000
S 0.1797 0.1245 0.6479
S 0.4766 0.5318 0.3521
S 0.5234 0.8755 0.0552
S 0.8203 0.4682 0.9448

---

Entry 2:
Starting from the PBE geometry in Alexandria, the powder XRD pattern of Tb4CoSi3 was calculated for Cu Ka.
Kinematic intensities with the Lorentz-polarization factor, no thermal factor.

Most intense lines, 15 to 90 degrees two-theta, in order of falling intensity:
32.55 deg, intensity 100; 28.60 deg, intensity 58; 32.99 deg, intensity 56; 40.64 deg, intensity 33; 22.65 deg, intensity 27; 33.72 deg, intensity 27; 42.81 deg, intensity 23; 52.30 deg, intensity 22; 58.75 deg, intensity 22; 53.80 deg, intensity 19

Crystal structure
Lattice parameters (Å, degrees): 3.8549 4.2246 10.6323 90.00 90.00 90.00
Fractional positions:
Tb 0.0000 0.0000 0.0000
Tb 0.0000 0.5000 0.4907
Tb 0.5000 0.0000 0.7090
Tb 0.5000 0.5000 0.2165
Co 0.0000 0.0000 0.2856
Si 0.0000 0.5000 0.7783
Si 0.5000 0.0000 0.4193
Si 0.5000 0.5000 0.9227
~~~

Activity:
It remains to return only the last part of the rows earlier on, starting with the line that has "Entry 1:".

Result:
Entry 1:
Starting from the PBE geometry in Alexandria, the powder XRD pattern of RbMn2CuS4 was calculated for Cu Ka.
Kinematic intensities with the Lorentz-polarization factor, no thermal factor.

Most intense lines, 15 to 90 degrees two-theta, in order of falling intensity:
27.07 deg, intensity 100; 22.09 deg, intensity 98; 42.65 deg, intensity 91; 29.06 deg, intensity 90; 28.96 deg, intensity 75; 39.81 deg, intensity 70; 37.82 deg, intensity 51; 53.93 deg, intensity 46; 18.65 deg, intensity 42; 30.06 deg, intensity 39

Crystal structure
Lattice parameters (Å, degrees): 6.8356 6.8356 6.8356 132.75 107.86 90.83
Fractional positions:
Rb 0.0000 0.0000 0.0000
Mn 0.3905 0.8905 0.5000
Mn 0.6095 0.1095 0.5000
Cu 0.5000 0.5000 0.0000
S 0.1797 0.1245 0.6479
S 0.4766 0.5318 0.3521
S 0.5234 0.8755 0.0552
S 0.8203 0.4682 0.9448

---

Entry 2:
Starting from the PBE geometry in Alexandria, the powder XRD pattern of Tb4CoSi3 was calculated for Cu Ka.
Kinematic intensities with the Lorentz-polarization factor, no thermal factor.

Most intense lines, 15 to 90 degrees two-theta, in order of falling intensity:
32.55 deg, intensity 100; 28.60 deg, intensity 58; 32.99 deg, intensity 56; 40.64 deg, intensity 33; 22.65 deg, intensity 27; 33.72 deg, intensity 27; 42.81 deg, intensity 23; 52.30 deg, intensity 22; 58.75 deg, intensity 22; 53.80 deg, intensity 19

Crystal structure
Lattice parameters (Å, degrees): 3.8549 4.2246 10.6323 90.00 90.00 90.00
Fractional positions:
Tb 0.0000 0.0000 0.0000
Tb 0.0000 0.5000 0.4907
Tb 0.5000 0.0000 0.7090
Tb 0.5000 0.5000 0.2165
Co 0.0000 0.0000 0.2856
Si 0.0000 0.5000 0.7783
Si 0.5000 0.0000 0.4193
Si 0.5000 0.5000 0.9227